VAC / Wilson cables

Before year end I'll be replacing my VAC Ren 70/70 with Kevin's current iteration, the Phi 300. I've already upgraded from Wilson's Watt/Puppy 5 to Sophia 3. The cables, however, remain Transparent Reference.

I'm wondering, having upgraded at each end, if anyone has experience with a more current and improved speaker cable ? The pre-amp is Shindo's Giscours, fed by the Miyajima Kansui on a TW Limited table. Chamber, vocals, and keyboard is the diet.


Thank you for your comprehensive post. Regarding my statements about Kevin Carter, they are based upon what I was told by a dealer in North Carolina from whom I bought a pair of speakers who expressed detailed knowledge, albeit perhaps erroneous I will of course admit, about VAC. Given that he is located where VAC used to be located in North Carolina and based upon his general demeanor (a calm, serious guy who didn't appear to be the type of person who would misspeak), I took him at his word. His comments were not offhand - he specifically stated that your role at VAC was managerial in nature and that Kevin Carter did the design work. I have spoken to Kevin Carter a couple of times and the knowledge he expressed about the Renaissance amps was such that I assumed he did indeed design them, but I never asked him to confirm that he was the designer and his comments, which seemed knowledgeable to me, could of course have been informed by his position at VAC as you have described it. If it was irresponsible of me to make statements about this subject under these circumstances and I am wrong, I apologize and stand corrected.

Attached: quantum chemistry results:
~~~
(1)
Formula: C31H45F5InN6O3SSi
Source: OMol25
Level of theory: ωB97M-V with the def2-TZVPD basis set

Net charge: +1
Spin multiplicity: 1
E_HOMO, eV: -10.51
Molecular weight, g mol⁻¹: 819.70
HOMO-LUMO gap, eV: 7.698

```
93
Properties=species:S:1:pos:R:3:mulliken_charge:R:1
In -0.312 0.434 -0.346 2.449
C -0.578 4.370 0.296 -1.568
C -0.872 3.309 1.348 0.340
N 0.121 2.230 1.396 0.363
C 1.469 2.652 1.797 -0.798
C 2.456 1.496 1.714 -0.938
N 2.437 0.871 0.392 0.195
C 3.174 1.689 -0.582 -0.494
C 3.554 0.957 -1.861 -1.309
C 2.458 0.069 -2.445 -0.600
N 1.109 0.632 -2.327 0.813
C 0.876 1.836 -3.133 -1.092
C -0.543 2.329 -2.899 -0.634
N -0.777 2.611 -1.471 0.106
C -0.065 3.816 -1.026 -0.185
H 0.158 5.087 0.663 0.428
H -1.501 4.930 0.132 0.490
H -1.826 2.839 1.127 -0.944
H -0.971 3.797 2.323 0.707
H -0.212 1.549 2.074 -0.209
H 1.485 3.029 2.826 0.397
H 1.785 3.470 1.147 0.529
H 2.178 0.748 2.445 0.083
H 3.451 1.870 1.979 0.524
H 2.874 -0.043 0.463 0.194
H 4.094 2.073 -0.125 0.510
H 2.564 2.558 -0.828 0.076
H 4.428 0.328 -1.678 0.400
H 3.860 1.706 -2.593 0.356
H 2.464 -0.887 -1.930 0.186
H 2.694 -0.128 -3.496 0.542
H 0.425 -0.059 -2.657 -0.022
H 0.989 1.621 -4.200 0.465
H 1.607 2.601 -2.869 0.574
H -1.240 1.547 -3.196 -0.316
H -0.723 3.217 -3.513 0.699
H -1.779 2.749 -1.355 -0.014
H -0.146 4.600 -1.784 0.415
H 0.990 3.565 -0.929 -0.022
O 3.484 -3.578 5.254 -0.502
C 2.487 -2.702 5.733 -0.604
C 1.761 -2.093 4.568 0.146
C 0.780 -1.132 4.768 -1.269
C 0.153 -0.595 3.661 -0.235
N 0.414 -0.966 2.407 0.364
C 1.301 -1.937 2.216 0.261
C 2.021 -2.496 3.269 -0.694
C 1.415 -2.477 0.831 0.226
C 2.103 -3.664 0.618 -0.639
C 2.086 -4.287 -0.624 0.595
C 2.812 -5.600 -0.804 -0.842
O 4.103 -5.580 -0.221 -0.497
C 1.369 -3.681 -1.636 -1.361
C 0.754 -2.471 -1.373 -0.708
N 0.779 -1.860 -0.188 0.885
H 3.886 -4.039 5.995 0.323
H 2.917 -1.897 6.339 0.320
H 1.754 -3.226 6.355 0.347
H 0.500 -0.806 5.763 0.481
H -0.626 0.152 3.790 0.313
H 2.790 -3.236 3.114 0.666
H 2.648 -4.145 1.417 0.411
H 2.840 -5.874 -1.861 0.392
H 2.258 -6.376 -0.276 0.292
H 4.719 -5.135 -0.811 0.319
H 1.282 -4.130 -2.618 0.500
H 0.189 -1.967 -2.145 0.131
F -6.617 4.071 1.196 -0.295
C -5.647 3.172 1.149 0.771
C -5.132 2.762 -0.066 -0.258
F -5.608 3.277 -1.198 -0.302
C -4.123 1.823 -0.099 -0.486
F -3.626 1.475 -1.298 -0.203
C -3.584 1.254 1.051 0.377
S -2.392 -0.030 1.044 -0.157
C -4.113 1.707 2.259 0.736
F -3.624 1.249 3.414 -0.349
C -5.126 2.644 2.317 0.167
F -5.591 3.055 3.492 -0.293
C -3.239 -0.314 -4.069 -1.128
Si -2.457 -1.330 -2.689 0.673
C -1.737 -2.894 -3.471 -1.306
C -3.836 -1.852 -1.532 -1.059
O -1.257 -0.454 -2.027 -1.217
H -4.035 -0.897 -4.546 0.408
H -2.517 -0.043 -4.847 0.316
H -3.689 0.606 -3.680 0.243
H -2.484 -3.363 -4.121 0.480
H -1.450 -3.634 -2.718 0.278
H -0.861 -2.671 -4.092 0.342
H -4.480 -2.592 -2.020 0.496
H -4.457 -0.993 -1.261 0.178
H -3.454 -2.291 -0.608 0.273
```

=====

(2)
Formula: C13H37IN3O4
Source: OMol25
Level of theory: ωB97M-V with the def2-TZVPD basis set

Net charge: -1
~~~

As for my comments about many hi-fi companies hiring consultants to do design work, I was referring to hi-fi companies generally and not VAC specifically - I did not intend to state that VAC hires consultants and have no knowledge upon which to conclude that you do or don't. And again, so what if a company does - there's nothing inherently good or bad about receiving services from consultants or independent contractors, in my opinion.

Regarding Audio Oracle, my recollection is that he left Singer in 2006-2007, which would have given him ample time to get to know the initial Phi products (incidentally, how he managed to stomach Andy Singer for as long as he did is beyond me - but Sound by Singer would be a topic for another thread). It's important for me to state that I know of no one who is a bigger cheerleader for VAC products than Audio Oracle - and this, despite the fact that he is not a VAC dealer - and my intention was certainly not to get him into any hot water. He is an unusually knowledgeable guy (and a nice guy) who swears by VAC and you have him to thank for many, many VAC sales.

If any of my comments were wrong or misleading, I stand corrected and apologize. These forums are the principal means used by many people to educate themselves about audio and it's important that people be truthful and accurate.

Regarding the OP's initial question, I am sorry that this thread has veered off course. Now that I really think about it, I will also take this opportunity to say that someone told me - again, hearsay - that Kevin generally advises people to avoid networked cables for his products. Kevin, can you please comment?
Very interesting summary, Kevin; thank you. Blessed Thanksgiving to all!

A comment in regards to system building considerations:
I reviewed the Signature Preamplifier MkII and the Phi 200 for Initially I was impressed with networked cables and felt there was a strong case for their use. But over time I have achieved far superior results when using non-networked cables. This has been consistent with all components/speakers whether using digital cables, interconnects, speaker cables or power cords. I also have achieved purer sound, with better microdynamics and definition when not using power filtration/regeneration components. Perhaps someday my mind will be persuaded otherwise by some product yet to be tested, but at this time I would not seek a networked cable for my reference.
Interesting statement regarding no longer liking the networked cable solution of MIT or what cable manufacturer do you like; and what type of material have you found to be good, i.e.; pure copper, blends of silver and copper, etc...
You also mention that you don't like power products; or regeneration. Are you going direct to wall plug; or are passive conditioners like Equi-tech ok to use and not degrade sound?
I have MIT Magnum M-2's; with my VAC and Ventures...curious as to what path you might recommend for me to try. Happy Holidays.
Mribob, I do prefer a non-networked cable to networked, based on the comparisons over many systems. The trade-off in using networked cables and conditioning systems seems to be improvement of macrodynamics at the expense of definition/detail. I am not willing to make that trade. (I have a theory regarding the appeal/experience of networked cables, but will not take the time here to expound upon it)

You make a good point; I had powered conditioners in mind when I made my statement. However, I have used RFI filters etc. which are passive and they also it seems restrict some of the frequency range. I haven not tested Equi-tech so can't comment on that one. I believe that using a superior power cable one can outperform the use of a power conditioning device with a stock cord. I have done so several times.

I tend to like the sound of cables with high total gauge copper. In certain systems in certain locations silver cables have been quite effective. One of my favorites from among those I have reviewed is Clarity Cable. I strongly encourage comparison with sets of cables if at all possible. This shows how dramatically different a system can sound with a cable change.

The networked cable/conditioner thing is much like the SS/tube divide. It's not absolute, nor is it preventive from having good sound. One has to test things out to see what they're hearing.